**File**
'''
<1>
Computed, not measured: one molecule with the formula C2H2N2O2, with ωB97M-V/def2-TZVPD.

Atoms and positions in Å:
C1 0.26400 1.03955 -0.25994
C2 -0.73949 -1.07932 -0.36644
H1 1.60535 0.27112 1.29465
H2 -1.68249 -1.70712 -0.49983
N1 0.93387 0.06607 0.33129
N2 0.22592 -1.10153 0.58397
O1 0.24470 2.22604 -0.37514
O2 -0.85184 0.28518 -0.70856

For the highest occupied orbital energy, the calculation gives -9.84 eV. The calculation puts the gap between HOMO and LUMO at 0.3775 Ha. As for the SMILES: O=c1[nH]nco1.

How positive or negative is each atom? The Mulliken charges in e answer that: 0.555, 0.095, 0.361, 0.297, -0.012, -0.482, -0.520, -0.295

=====

<2>
Computed, not measured: one molecule with the formula C2H2N2O2, with ωB97M-V/def2-TZVPD.

Atoms and positions in Å:
C1 0.12040 0.40172 -0.20603
C2 -0.51449 -0.87508 -0.27744
H1 0.77025 2.02565 -0.82919
H2 -0.99189 -1.41864 -1.09117
N1 -0.41880 -1.42831 0.88871
N2 0.57736 0.55928 1.00541
O1 0.22580 1.29829 -1.17956
O2 0.23138 -0.56290 1.68927

For the highest occupied orbital energy, the calculation gives -10.50 eV. The calculation puts the gap between HOMO and LUMO at 0.4099 Ha. As for the SMILES: Oc1cnon1.

How positive or negative is each atom? The Mulliken charges in e answer that: 0.647, -0.284, 0.366, 0.379, -0.251, -0.358, -0.483, -0.017

=====

It turns out <1> is the most stable, with the second structure 0.397 eV higher.

~~~~~

No. 1
Density functional theory data (the ωB97M-V functional and the def2-TZVPD basis) for a molecular structure, C37H29BrClN8NiO3 at a distorted geometry.

Multiplicity: 1
Charge: -1

CARTESIAN COORDINATES (ANGSTROEM)
Ni -1.30913 -1.07972 -0.13594
C -5.66734 -1.44109 5.23265
C -4.67351 -0.98725 4.19716
C -4.74243 0.28315 3.62654
C -3.87439 0.66922 2.62550
C -2.86146 -0.17836 2.14839
N -2.03612 0.18492 1.10884
C -1.34743 1.37654 1.19345
C -1.01459 1.98020 2.41772
C -0.25525 3.12857 2.49235
C 0.24536 3.74444 1.34775
C 1.14628 4.94774 1.42322
C -0.07592 3.16970 0.13027
C -0.86760 2.03309 0.04877
N -1.21227 1.55075 -1.24532
C -1.29692 2.25383 -2.39340
C -1.74182 1.40067 -3.37553
C -1.91791 0.17143 -2.73245
N -1.59619 0.28106 -1.45185
C -2.76797 -1.42987 2.77265
C -3.67472 -1.83413 3.74544
N -1.68694 -2.29682 2.45883
C -1.06314 -3.15632 3.28928
C -0.16854 -3.88725 2.54326
C -0.30585 -3.39911 1.23904
N -1.22911 -2.45101 1.20590
H -6.17309 -0.58854 5.68683
H -5.18304 -2.00691 6.03043
H -6.43510 -2.08420 4.79537
H -5.50997 0.97461 3.95723
H -3.96103 1.65133 2.17728
H -1.34036 1.49485 3.32818
H -0.01029 3.53583 3.46742
H 1.02917 5.46401 2.37668
H 0.92905 5.66164 0.62647
H 2.19798 4.66417 1.33122
H 0.30828 3.61171 -0.78172
H -1.07232 3.30436 -2.42247
H -1.91976 1.63562 -4.40954
H -2.26102 -0.77810 -3.10602
H -3.59027 -2.83476 4.15463
H -1.29568 -3.16978 4.33935
H 0.50420 -4.64920 2.89359
H 0.18754 -3.67145 0.31819
Br 2.05974 4.51958 -4.30810
C 3.20178 3.19714 -3.55569
C 3.27677 3.06586 -2.17739
C 4.10026 2.10089 -1.62710
C 4.86354 1.26899 -2.45112
C 4.79723 1.44441 -3.82957
C 3.95614 2.39433 -4.39029
N 5.85806 0.38566 -1.94229
N 5.65991 -0.35424 -0.94419
C 4.39802 -0.64619 -0.43583
C 4.31400 -0.68433 0.95602
C 3.11275 -0.70658 1.62509
C 1.86535 -0.72744 0.92918
O 0.76150 -0.62085 1.48950
C 1.95937 -0.95795 -0.53367
N 0.80874 -1.25559 -1.18561
C 0.86162 -1.53648 -2.46730
C 2.05573 -1.56415 -3.19587
C 3.22405 -1.25435 -2.55952
C 3.20712 -0.90998 -1.19241
H 2.69115 3.70803 -1.53390
H 4.14319 1.98580 -0.55203
H 5.41611 0.82036 -4.46235
H 3.89573 2.51215 -5.46360
H 5.24778 -0.60812 1.50385
H 3.07281 -0.66526 2.70607
H -0.07443 -1.76895 -2.95362
H 2.03855 -1.84229 -4.24122
H 4.16546 -1.29793 -3.08973
Cl -2.13576 -3.40479 -4.62235
C -2.58170 -4.19987 -3.06634
C -1.71651 -3.61713 -1.93610
O -0.76003 -4.28999 -1.55084
O -2.12351 -2.49215 -1.51291
H -2.39467 -5.26034 -3.19441
H -3.63521 -3.98782 -2.91007

Atomic forces in eV per Å
-1.09 -0.28 -0.08
-0.01 0.00 0.01
0.00 0.04 -0.02
-0.03 -0.02 0.03
0.03 -0.01 -0.06
-0.05 -0.08 0.07
0.34 0.17 -0.08
'''
**Exercise**
Now print everything earlier on without additions.
**Reply**
<1>
Computed, not measured: one molecule with the formula C2H2N2O2, with ωB97M-V/def2-TZVPD.

Atoms and positions in Å:
C1 0.26400 1.03955 -0.25994
C2 -0.73949 -1.07932 -0.36644
H1 1.60535 0.27112 1.29465
H2 -1.68249 -1.70712 -0.49983
N1 0.93387 0.06607 0.33129
N2 0.22592 -1.10153 0.58397
O1 0.24470 2.22604 -0.37514
O2 -0.85184 0.28518 -0.70856

For the highest occupied orbital energy, the calculation gives -9.84 eV. The calculation puts the gap between HOMO and LUMO at 0.3775 Ha. As for the SMILES: O=c1[nH]nco1.

How positive or negative is each atom? The Mulliken charges in e answer that: 0.555, 0.095, 0.361, 0.297, -0.012, -0.482, -0.520, -0.295

=====

<2>
Computed, not measured: one molecule with the formula C2H2N2O2, with ωB97M-V/def2-TZVPD.

Atoms and positions in Å:
C1 0.12040 0.40172 -0.20603
C2 -0.51449 -0.87508 -0.27744
H1 0.77025 2.02565 -0.82919
H2 -0.99189 -1.41864 -1.09117
N1 -0.41880 -1.42831 0.88871
N2 0.57736 0.55928 1.00541
O1 0.22580 1.29829 -1.17956
O2 0.23138 -0.56290 1.68927

For the highest occupied orbital energy, the calculation gives -10.50 eV. The calculation puts the gap between HOMO and LUMO at 0.4099 Ha. As for the SMILES: Oc1cnon1.

How positive or negative is each atom? The Mulliken charges in e answer that: 0.647, -0.284, 0.366, 0.379, -0.251, -0.358, -0.483, -0.017

=====

It turns out <1> is the most stable, with the second structure 0.397 eV higher.

~~~~~

No. 1
Density functional theory data (the ωB97M-V functional and the def2-TZVPD basis) for a molecular structure, C37H29BrClN8NiO3 at a distorted geometry.

Multiplicity: 1
Charge: -1

CARTESIAN COORDINATES (ANGSTROEM)
Ni -1.30913 -1.07972 -0.13594
C -5.66734 -1.44109 5.23265
C -4.67351 -0.98725 4.19716
C -4.74243 0.28315 3.62654
C -3.87439 0.66922 2.62550
C -2.86146 -0.17836 2.14839
N -2.03612 0.18492 1.10884
C -1.34743 1.37654 1.19345
C -1.01459 1.98020 2.41772
C -0.25525 3.12857 2.49235
C 0.24536 3.74444 1.34775
C 1.14628 4.94774 1.42322
C -0.07592 3.16970 0.13027
C -0.86760 2.03309 0.04877
N -1.21227 1.55075 -1.24532
C -1.29692 2.25383 -2.39340
C -1.74182 1.40067 -3.37553
C -1.91791 0.17143 -2.73245
N -1.59619 0.28106 -1.45185
C -2.76797 -1.42987 2.77265
C -3.67472 -1.83413 3.74544
N -1.68694 -2.29682 2.45883
C -1.06314 -3.15632 3.28928
C -0.16854 -3.88725 2.54326
C -0.30585 -3.39911 1.23904
N -1.22911 -2.45101 1.20590
H -6.17309 -0.58854 5.68683
H -5.18304 -2.00691 6.03043
H -6.43510 -2.08420 4.79537
H -5.50997 0.97461 3.95723
H -3.96103 1.65133 2.17728
H -1.34036 1.49485 3.32818
H -0.01029 3.53583 3.46742
H 1.02917 5.46401 2.37668
H 0.92905 5.66164 0.62647
H 2.19798 4.66417 1.33122
H 0.30828 3.61171 -0.78172
H -1.07232 3.30436 -2.42247
H -1.91976 1.63562 -4.40954
H -2.26102 -0.77810 -3.10602
H -3.59027 -2.83476 4.15463
H -1.29568 -3.16978 4.33935
H 0.50420 -4.64920 2.89359
H 0.18754 -3.67145 0.31819
Br 2.05974 4.51958 -4.30810
C 3.20178 3.19714 -3.55569
C 3.27677 3.06586 -2.17739
C 4.10026 2.10089 -1.62710
C 4.86354 1.26899 -2.45112
C 4.79723 1.44441 -3.82957
C 3.95614 2.39433 -4.39029
N 5.85806 0.38566 -1.94229
N 5.65991 -0.35424 -0.94419
C 4.39802 -0.64619 -0.43583
C 4.31400 -0.68433 0.95602
C 3.11275 -0.70658 1.62509
C 1.86535 -0.72744 0.92918
O 0.76150 -0.62085 1.48950
C 1.95937 -0.95795 -0.53367
N 0.80874 -1.25559 -1.18561
C 0.86162 -1.53648 -2.46730
C 2.05573 -1.56415 -3.19587
C 3.22405 -1.25435 -2.55952
C 3.20712 -0.90998 -1.19241
H 2.69115 3.70803 -1.53390
H 4.14319 1.98580 -0.55203
H 5.41611 0.82036 -4.46235
H 3.89573 2.51215 -5.46360
H 5.24778 -0.60812 1.50385
H 3.07281 -0.66526 2.70607
H -0.07443 -1.76895 -2.95362
H 2.03855 -1.84229 -4.24122
H 4.16546 -1.29793 -3.08973
Cl -2.13576 -3.40479 -4.62235
C -2.58170 -4.19987 -3.06634
C -1.71651 -3.61713 -1.93610
O -0.76003 -4.28999 -1.55084
O -2.12351 -2.49215 -1.51291
H -2.39467 -5.26034 -3.19441
H -3.63521 -3.98782 -2.91007

Atomic forces in eV per Å
-1.09 -0.28 -0.08
-0.01 0.00 0.01
0.00 0.04 -0.02
-0.03 -0.02 0.03
0.03 -0.01 -0.06
-0.05 -0.08 0.07
0.34 0.17 -0.08